Dinsdag 02 Oktober 2012

The Mandingo Ambassadors - Music from Guinea
Woensdag 05 September 2012 22:00
t/m Woensdag 31 Oktober 2012
This legendary band was formed in the late 1960's by guitarist Mamady "Djelike" Kouyate and singer Emile Soumah. They made some of the most beloved music of their generation. Now based in New York, Mamady Kouyate has decided to revive The Ambassadors. Every Wednesday night.

The Beautiful Time: Photography by Sammy Baloji
Images by Congolese photographer and video artist Sammy Baloji feature the industrial landscapes around Lumbumbasi, the capital city of Katanga in the Democratic Republic of the Congo. The images serve as a visual indictment of the failed postcolonial leadership that mismanaged and squandered Katanga’s industrial resources, its modernity, and the economic prosperity of the region.

Surveys - Jane Alexander (South Africa)
While Jane Alexander’s figures are, in many ways, emblems of monstrosity, they are oddly beautiful. Her creatures expose the human animal for all it is and all it could become. Though clearly concerned with social issues, Alexander’s sculptural installations and photographs do not judge, nor do they convey a particular political or moral standpoint.

Laila Essaydi - Revisions
Lalla Essaydi's elegant, creative work belies it subversive, challenging nature. Approximately 30 works of diverse media are drawn from each of her photographic series, including the richly hued Silence of Thought and the more widely known Converging Territories and Les Femmes de Maroc. The exhibition also includes a selection of new works, as well as rarely exhibited paintings and installations.

El Anatsui - When I Last Wrote to You about Africa
Brings together the full range of the artist’s work, from wood trays referring to traditional symbols of the Akan people of Ghana; to early ceramics from the artist’s Broken Pots series, driftwood assemblages that refer to the trans-Atlantic slave trade, and wooden sculptures carved with a chainsaw; to the luminous metal wall-hangings of recent years.

Goddelijk en Griezelig. Het geheim van de slang
Goddelijk en Griezelig is een interculturele tentoonstelling over het oudste dierensymbool ter wereld: de slang. De tentoonstelling laat in de vorm van oude en moderne kunst uit de hele wereld zien dat de slang vanaf de prehistorie tot op de dag van vandaag in alle culturen een bijzondere betekenis heeft.

Black Box/Chambre Noire - William Kentridge
De veelzijdige Zuid-Afrikaanse kunstenaar William Kentridge ontwikkelde de afgelopen decennia een multidisciplinaire werkwijze waarin film, animatie, tekenkunst, grafiek en theater samenkomen. Typerend voor zijn werk zijn de krachtige houtskool- en pasteltekeningen die hij tot bewegend beeld transformeert. Black Box/Chambre Noire is een mechanisch theater waarin gedurende 23 minuten zes mechanische figuren beurtelings optreden tegen een geprojecteerde achtergrond van geanimeerde houtskooltekeningen.

Afrovibes Festival UK 2012 - more than just a show...
Challenging, stimulating, thought-provoking: a festival of contemporary theatre, dance, spoken word and music from South Africa and beyond. Then add into the mix the venue's Township Cafe. You'll find authentic African food and drink plus a host of festival fringe events: workshops, debates, after-show talks, late night music or other pop-up performances. Buy yourself a ticket for a main stage event, or simply turn up to see what happens. Afrovibes is more than just a show - it's an experience. In London, Birmingham, Manchester, Lancaster, Liverpool, Nottingham, Hereford, Cardiff, Aberystwyth...
afrovibes-uk uk-arts-international afrovibes-nl afrovibes@facebook

Workshop Djembé met Michael Agbodo
Geboren in Togo, West-Afrika, groeide Michael Agbodo op in een traditie van muziek en dans. Hij volgde een dansopleiding in Lomé, de hoofdstad van Togo. Inmiddels brengt hij in Nederland met veel plezier de kunst van de Afrikaanse dans en percussie over. Uit de djembé tover je na enige oefening geluiden die variëren van een diepe bas tot aan slaps die klinken als donderslagen. Cursussen voor jongeren/beginners/gevorderden, op donderdagavond.

MMXII - James Webb
A series of independent yet intersecting exhibitions will be brought together under one roof to form a complete piece that explores the nature of belief and the dynamics of communication. The complete exhibition, entitled MMXII, is a solo display by James Webb. A keynote work in the exhibition is Prayer, a multi-channel sound installation of prayers recorded from over 65 different faith groups in greater Johannesburg. Other works, including static and time-based media projects, will be shown alongside JAG’s collection.

Staff Benda Bilili - opnieuw on tour
De Congolese band Staff Benda Bilili is live on stage een ware sensatie. Deze straatmuzikanten met een handicap kunnen swingen! De hartslag van Afrika klinkt door in hun soepele Congolese rumba en ballades. Nu op tour met hun tweede album Bouger Le Monde, een nieuw geluid: krachtiger en geraffineerder, maar het blijft natuurlijk wel nog typisch Staff Benda Bilili met hun geïmproviseerde instrumenten en ontroerende teksten.

Skip & Die - Ade (concert)
Zuid-Afrikaans/Nederlands kwartet dat inzet op flinke bass muziek, dikke beats en Zuid-Afrikaanse rap: neder-afro electrobeat. Het duo achter Skip & Die zijn frontvrouw Cata.Pirata en producent Jori Collignon, bekend van C-Mon & Kypski en Nobody Beats The Drum. Live worden zij vergezeld door vijfkoppige liveband die garant staat voor een groot feest. Skip & Die bindt zich niet aan een genre, waardoor veel wereldwijde invloeden terug zijn te horen in hun unieke geluid.

Danse l’Afrique danse!
From 2012 onwards, Danse l’Afrique danse! changes course, turning into a pan-african festival. Danse l’Afrique danse ! has become a major event on the calendar of the African dance scene. This year, the event will highlight artists who form part of its history, focusing in particular on the South African dance scene, and welcoming young artists for whom the biennial offers an opportunity to show their work to other artists and professionals. Also in the Dance Factory, Market and Wits theatres.

Rebelle - poëtisch filmdrama
Poëtisch drama van Kim Nguyen volgt de jonge Afrikaanse Komona als ze op 12-jarige leeftijd wordt gedwongen haar ouders te doden en zich aan te sluiten als kindsoldaat bij het leger van Great Tiger. Regisseur:
Kim Nguyen; acteurs: Rachel Mwanza, Alain Lino Mic Eli Bastien, Serge Kanyinda, Mizinga Mwinga. Canada/DR Congo 2012

Time, Trade & Travel - Exhibition
Exhibition focuses on the complexities of global exchange fostered by capitalism, and its effects on life and art. Time, Trade & Travel set the participating artists on a quest for the historical encounters between Europeans and Africans, in which trade and the concomitant cultural exchange receive particular attention. In collaboration with the Nubuke Foundation in Accra, Ghana and featuring Dutch and Ghanese artists.

The International Exhibition of Black Music
An outstanding exploration of the sounds and rhythms of Africa and the Diaspora and a groundbreaking digital experience that pays homage to artists and music of Africa and the African diaspora, the first tribute to black artists of its kind. The exhibition uses state-of-the-art technology, with over 100 interactive audio-visual setups transmitting the sights, sounds and rhythms of artists from all over the world. The exhibition comprises of a mind-blowing 13 hours’ worth of footage.

In het land van de keizer - Op expeditie in Ethiopië (1930-1931)
Baron Binnert Van Harinxma thoe Slooten en bioloog Gerrit Brouwer kregen op 2 november 1930 de unieke kans om de kroning van keizer Haile Selassie in Ethiopië bij te wonen. Maak hun expeditie mee met de foto's, persoonlijke aantekeningen en filmbeelden. De reis naar Ethiopië had oorspronkelijk het doel om de dierenwereld te bestuderen, maar hoogtepunt van de reis werd uiteindelijk de kroning van Haile Selassie.

Expositie Viktor Ekpuk (Nigeria/USA)
Op zondag 16 september om 16:00 uur wordt de expositie in aanwezigheid van de kunstenaar geopend door Sasha Dees, independent producer / curator on international art projects (New York / Amsterdam) en curator van Open Ateliers Zuidoost Residency programma. De Thami Mnyele Stichting heeft Ekpuk twee weken (tot 24 september) ondergebracht in haar Amsterdamse studio.

Exposition: Mufuki (Belgie/Congo)
Mufuki Mukuna is known for his moody portraits and urban landscapes, often depicting a darker side of life. His characters appear to be on an identity quest, sometimes showing signs of despair and loneliness. Using oil on canvas and other mixed media materials, the artist creates powerful images. He has the ability to paint scenes suggesting a blend of serenity intertwined with very disturbing feelings, creating a unique harmony. Exhibition opening: Friday 21 September 18.00h. The artist will be present.

Materials data that have nothing to do with the piece:
Record 1
This record from the Materials Project describes a relaxed Na5ZrTa3Si6O24 crystal. The functional is PBE.

Results
total energy after the MP2020 corrections	-8.321	eV/atom
total magnetization	0.00	μB per atom
energy	-7.899	eV per atom
energy relative to the elements	-3.141	eV per atom

Structure (POSCAR):
```
Na5ZrTa3Si6O24
1.0
9.021 0.000 0.000
4.498 7.841 0.000
0.001 0.084 22.767
Na Zr Ta Si O
15 3 9 18 72
Direct
0.000 0.000 0.000 Na
0.000 0.367 0.749 Na
0.025 0.677 0.916 Na
0.294 0.672 0.418 Na
0.327 0.339 0.831 Na
0.333 0.333 0.334 Na
0.358 0.011 0.250 Na
0.627 0.010 0.749 Na
0.653 0.672 0.166 Na
0.654 0.678 0.665 Na
0.663 0.303 0.916 Na
0.689 0.340 0.584 Na
0.963 0.340 0.085 Na
0.993 0.006 0.501 Na
0.996 0.636 0.250 Na
0.327 0.344 0.684 Zr
0.333 0.340 0.186 Zr
0.999 0.006 0.854 Zr
0.326 0.335 0.480 Ta
0.327 0.336 0.981 Ta
0.656 0.673 0.813 Ta
0.656 0.677 0.021 Ta
0.660 0.669 0.314 Ta
0.661 0.676 0.520 Ta
0.989 0.010 0.356 Ta
0.993 0.002 0.146 Ta
0.999 0.001 0.646 Ta
0.034 0.339 0.584 Si
0.036 0.632 0.083 Si
0.281 0.719 0.252 Si
0.287 0.002 0.750 Si
0.324 0.633 0.581 Si
0.329 0.044 0.085 Si
0.371 0.672 0.918 Si
0.373 0.963 0.417 Si
0.618 0.045 0.584 Si
0.619 0.338 0.083 Si
0.654 0.963 0.917 Si
0.662 0.381 0.419 Si
0.703 0.297 0.750 Si
0.705 0.006 0.252 Si
0.949 0.385 0.918 Si
0.950 0.671 0.417 Si
0.988 0.295 0.250 Si
0.995 0.714 0.751 Si
0.008 0.172 0.590 O
0.017 0.821 0.091 O
0.020 0.168 0.306 O
0.020 0.798 0.810 O
0.111 0.373 0.643 O
0.112 0.513 0.141 O
0.135 0.376 0.925 O
0.142 0.506 0.424 O
0.152 0.036 0.090 O
0.153 0.521 0.746 O
0.155 0.821 0.590 O
0.157 0.314 0.247 O
0.157 0.536 0.026 O
0.161 0.312 0.527 O
0.161 0.812 0.309 O
0.165 0.041 0.806 O
0.180 0.832 0.915 O
0.187 0.973 0.409 O
0.188 0.846 0.195 O
0.189 0.975 0.693 O
0.291 0.537 0.247 O
0.295 0.175 0.028 O
0.298 0.539 0.524 O
0.310 0.168 0.744 O
0.353 0.151 0.425 O
0.358 0.497 0.925 O
0.359 0.126 0.143 O
0.370 0.510 0.638 O
0.465 0.834 0.472 O
0.468 0.709 0.258 O
0.471 0.694 0.974 O
0.477 0.833 0.757 O
0.486 0.371 0.424 O
0.487 0.154 0.925 O
0.491 0.870 0.358 O
0.495 0.857 0.075 O
0.498 0.647 0.573 O
0.499 0.638 0.862 O
0.501 0.374 0.140 O
0.508 0.124 0.643 O
0.514 0.166 0.248 O
0.518 0.311 0.745 O
0.521 0.177 0.528 O
0.526 0.311 0.025 O
0.629 0.510 0.362 O
0.629 0.870 0.859 O
0.640 0.857 0.573 O
0.650 0.501 0.074 O
0.687 0.835 0.973 O
0.688 0.473 0.476 O
0.692 0.831 0.258 O
0.695 0.483 0.758 O
0.785 0.182 0.809 O
0.804 0.037 0.590 O
0.805 0.028 0.308 O
0.811 0.171 0.090 O
0.817 0.702 0.757 O
0.821 0.487 0.258 O
0.824 0.982 0.914 O
0.826 0.700 0.473 O
0.828 0.207 0.693 O
0.828 0.479 0.975 O
0.830 0.194 0.409 O
0.832 0.971 0.195 O
0.841 0.503 0.574 O
0.850 0.645 0.074 O
0.857 0.645 0.359 O
0.860 0.508 0.860 O
0.959 0.202 0.914 O
0.959 0.845 0.695 O
0.962 0.204 0.192 O
0.977 0.837 0.410 O
```

***

Record 2
This record from the Materials Project describes a relaxed Na3ZrTaSi3O12 crystal. The functional is PBE.

Results

Rise and Fall of Apartheid: Photography and the Bureaucracy of Everyday Life
Photographic exhibition examining the legacy of the apartheid system and how it penetrated even the most mundane aspects of social existence in South Africa, from housing, public amenities, and transportation to education, tourism, religion, and businesses. Complex, vivid, evocative, and dramatic, it includes nearly 500 photographs, films, books, magazines, newspapers, and assorted archival documents and covers more than 60 years of powerful photographic and visual production that forms part of the historical record of South Africa.

Zander Blom - New paintings
Blom writes: A quote from Françoise Gilot's biography on Picasso made a lasting impression on me at the end of last year: '[Work] below your means. If you can handle three elements, handle only two. If you can handle ten, then handle only five. In that way the ones you do handle, you handle with more ease, more mastery, and you create a feeling of strength in reserve.' The added benefit of such a limitation in painting is that it has the potential to facilitate a refinement and expansion of one's language and ability. A limitation by its very nature forces one to seek out alternative avenues or ways to solve problems, and in doing so it can open up a range of new possibilities.

Birthday Group Show - Various Artists
Commune.1 celebrates their first birthday in September, with their first group show showcasing brand new work by all the artists who have exhibited with them in the past year, as well as premiering the work of artists who will be exhibiting with them in the future.

## Here the article breaks off for crystal structures
/*
Entry 1:
PBE+U Mn5P6O22, relaxed; magnetization = 41.997 μB/cell; energy of formation from the pure elements = -2.4566 eV per atom; MP2020-corrected energy = -536.4 eV per cell
1.0
6.782 0.000 0.000
0.000 10.717 0.000
0.000 3.429 12.256
O Mn P
44 10 12
Cartesian
2.148 8.536 5.685
1.851 9.707 2.992
4.772 7.262 9.053
3.584 5.358 1.919
2.001 6.806 0.067
2.010 6.884 3.203
3.197 8.788 10.337
3.036 11.693 10.433
4.258 10.540 4.441
5.539 10.968 6.571
1.495 9.115 0.044
1.896 3.757 0.044
2.524 3.606 7.815
0.867 8.964 7.815
1.540 4.349 2.992
6.588 10.716 1.919
3.944 8.393 1.897
4.931 4.439 9.264
4.634 5.610 6.571
0.193 3.430 10.337
6.427 7.811 1.823
5.401 12.620 9.053
1.243 3.178 5.685
4.781 7.340 12.189
5.444 2.015 4.700
6.774 3.590 7.812
3.746 2.453 1.823
1.390 1.448 0.067
5.392 12.698 12.189
5.242 9.797 9.264
5.915 5.182 4.441
2.053 6.773 7.556
3.383 5.197 4.444
6.229 3.034 1.897
1.381 1.526 3.203
0.355 6.335 10.433
0.553 11.111 10.359
0.008 10.556 4.444
1.338 12.131 7.556
5.287 5.031 12.212
4.729 7.373 4.700
4.886 10.389 12.212
2.838 5.753 10.359
3.399 8.948 7.812
5.104 6.070 10.567
3.391 5.358 0.000
3.372 5.415 8.098
0.019 10.774 8.098
5.069 11.428 10.567
3.410 8.730 4.158
6.763 3.372 4.158
1.713 2.718 1.689
0.000 0.000 0.000
1.678 8.076 1.689
1.784 11.392 11.216
4.998 2.753 1.040
4.175 8.688 9.156
5.175 8.112 1.040
1.360 2.896 7.168
1.607 6.034 11.216
5.422 11.250 5.088
4.750 5.891 5.088
2.031 8.255 7.168
5.998 3.329 9.156
0.784 10.816 3.100
2.607 5.458 3.100

Entry 2:
PBE+U LiV3P3O13, relaxed; magnetization = 10.000 μB/cell; energy of formation from the pure elements = -2.6721 eV per atom; MP2020-corrected energy = -326.3 eV per cell
1.0
-3.505 -4.617 -2.596
-0.769 -3.165 6.668
-8.941 4.957 3.255
O P V Li
26 6 6 2
Cartesian
-2.620 -2.265 0.506
-4.694 -1.398 4.940
-8.970 0.713 4.004
-7.638 2.468 4.991
-4.406 -5.749 4.519
-7.890 -0.616 0.092
-6.781 1.391 2.796
-5.742 0.222 6.525
-5.326 -2.209 7.235
-5.578 -5.294 2.336
-10.821 0.580 1.923
-8.809 2.924 2.808
-10.595 -0.561 6.821
-9.746 -1.854 4.800
-12.027 -2.447 5.761
-2.395 -3.405 5.404
-1.696 -2.512 2.873
-8.521 -1.427 2.388
-3.469 -0.972 2.527
-11.519 -0.313 4.455
-6.096 -1.233 1.822
-1.188 -0.378 1.567
-7.119 -1.592 5.506
-4.245 -3.538 3.323
-7.473 -3.047 0.802
-6.434 -4.217 4.531
-7.475 -1.572 1.232
-2.213 -1.512 1.792
-11.002 -1.313 5.535
-5.741 -1.254 6.095
-7.972 1.836 3.612
-5.244 -4.662 3.715
-8.162 -3.169 5.000
-1.753 -2.309 -1.298
0.000 0.000 0.000
-5.054 0.343 2.327
-10.067 -0.627 3.051
-3.149 -2.198 4.276
-9.101 1.216 6.240
-4.114 -4.041 1.087

Entry 3:
PBE+U KMg14CrO16, relaxed; magnetization = 3.000 μB/cell; energy of formation from the pure elements = -2.8190 eV per atom; MP2020-corrected energy = -202.5 eV per cell
1.0
-5.995 0.329 -6.174
-6.178 -0.875 5.953
-0.202 4.336 0.427
Cr Mg O K
1 14 16 1
Cartesian
-3.089 -0.438 2.976
-4.587 2.414 -4.405
-2.998 0.164 -3.087
-6.001 0.030 -3.142
-4.632 2.115 -1.396
-6.087 -0.273 -0.110
-3.042 -0.133 -0.095
-7.744 1.675 1.602
-1.612 1.954 1.669
*/

Love Land - Wayne Barker
In his latest body of work Wayne Barker builds on ideas of his own artistic history largely made up of work dealing with the politics of representation in terms of the South African landscape. The title of the exhibition, 'Love Land', alludes to the landscape as a product of deviant sexuality, a love child or bastard. The show features a selection of works that carries many of Barker’s trademarks, namely his use of neon signage, expressionist gestures juxtaposed with African pop imagery, digital manipulation and the incorporation of traditional South African craft.

ARTOMS: Histopathology, Regeneration and Other Cases - Sandile Zulu
Zulu has a deep interest in biology, sociology, astronomy, philosophy, history and psychology. The word histopathology from the exhibition title, refers to the microscopic examination of tissue undertaken to study the manifestations of disease. Zulu acts as pathologist, so to speak, looking at the universality of our human biology as a metaphor for exploring what he understands to be a “diseased society”, where our lived human experience is far from the one of the universality which our cells, tissues, muscles would suggest it to be.

Out of Africa - The Magic of Kenya (tournee)
Out of Africa - Safari Through Magical Kenya is het vervolg op hitproducties als Sikulu, Stamping en African Mamas en neemt u mee op safari door het magische Kenia. Opzwepende dansen van Masai-krijgers, close harmony songs van de vrouwelijke dansers, een ballet van flamingo's, funky African jazzritmes en vrolijke bengamuziek uit de nachtclubs van Mombassa en Nairobi: het wordt allemaal gebracht met niet aflatende Afrikaanse energie en vitaliteit. Zowel het traditionele als het moderne Kenia krijgt in deze overdonderende show een plek.

MCA DNA: William Kentridge
Acclaimed for his work in animated film, visual art, theater, and opera, William Kentridge had his first survey exhibition in the United States in 2001 at MCA Chicago. From this exhibition, the MCA acquired more than a dozen drawings and two of his best-known films: Felix in Exile (1994) and History of the Main Complaint (1996), both of which will be on view. The drawings featured in the exhibition are those used to make this latter film—charcoal sketches that Kentridge erased and reworked to create the memorable segments that depict his alter egos and their struggles in late and post-apartheid Johannesburg: Felix Teitlebaum, the romantic artist who is always shown nude, and Soho Eckstein, the self-absorbed, wealthy mine owner and land developer who always wears a pinstriped suit.